Thursday, January 28, 2010

Hearing the Voice of God

This week marked the 3rd week i have been in Australia. It seems like i have been here for a lot longer yet so much shorter. Anyway last Saturday we had a day off lectures and took a trip up the coast about 30 minutes to a town called Nussa. The beaches there were absolutely beautiful and some of us took a scenic hike up to a cove called "Hells Gate". This was one of the prettiest places I have seen, and I'm sorry for all yall up in the snow but I was and still am enjoying so much sun and it has still yet to rain but as I'm typing this I'm seeing rain clouds come over the horizon and it hopefully is carrying much needed rain.
Lectures this week were on the topic "Hearing Gods Voice", on Monday we had two former DTS students come and speak on how they hear God and put it into terms college age kids can understand. Then the next four days the lectures were given by Borris a 37 year old German born surfer who works here at the Sunny Coast base. Borris had an amazing teaching style, he would tell life stories that helped us grasp the idea of hearing God and communicating with him. Since there is not really a 3 step process or exact way to hear God, these stories really helped.
One of the first things that was said was, "In order to do Gods will you have to hear God". This freaked me out because I felt to hear God was a one in a million chance and i truly want to live out my calling but i didn't feel i could truly hear God in my life. As we continued through the week I kept feeling something inside of me telling me that i wasnt fully giving everything over to Christ. The next day in lectures we talked about how we have to give up our rights, and just be willing to say yes to God. So that night i made a decision while praying that whatever came to my mind i would give up. Lots of things came to my head as i prayed and i wrote them all down. While i did this i realized that During this prayer while i fully handed those things over to Christ i could hear and feel him more clearly. The next day i challenged myself to do as we had been taught in our lessons and i tried to focus on blessing others and making my own life a byproduct. This became a huge blessing to me. Throughout the week little things kept coming into my head of things i should do, and i had no idea if it was God or just me so i finally said while laying in bed, "OK God I'm just going to try and do all these things that are coming up and if they are from you then cool but if not ill just be content looking like an idiot". Once i declared this i began doing things that i thought were stupid, but in the end i was truly blessed by the actions i was making. Hearing God has been something i have made seem almost impossible but through this week i have found that it really isn't all that insane, and God actually wants to speak to us. I know that this might seem like a crazy topic for some of you but here are some lecture notes i have that might help you:
1. You must be seeking God WHOLEHEARTEDLY and have fear for the Lord.
2. You must be willing to give up your rights.
3. God will speak however he feels. Crazy or normal he will speak however.
4. You must have character.
5. Try new ways to hear God. But, don't compare yourself to others. God speaks differently to all people. Just because he doesn't speak words to you he might wanna speak a different way. Don't be discouraged.
6. Just be willing to say YES.
7. If your having trouble giving up rights, ask God why your struggling.
8. Never specify to God how to speak to you.
9. Be proactive about God coming through.
10. If your desperately seeking God, its OK to be frustrated.
11. If your sincere on asking God then you cant go wrong.
12. Matthew 7:7, ask, seek, find
13. There are three voices in our head: God, us, and the enemy. The bible is a great tool to discern with, if its not biblical its not from God
14. God speaks to available people not cool people.
15. Hindsight is a beautiful thing when hearing and following through on Gods call.

This week we will be heading to beautiful Byron Bay Australia a town south of Brisbane for a week of evangelism. We will head out on Sunday morning and return the following Saturday. Please pray for us on this trip.
I ask for continued prayer for me and our group. I pray that i continue to have strength to give up my rights and surrender fully to God and his will for my life. Pray that our group is safe from the opposition and continues to hear Gods voice. Pray for all the outreach teams as we prepare to head out onto the mission field. Pray for my outreach team as we prepare for Nepal and India. Pray for India and Nepal. And most of all just pray to pray because that's where God meets us.
in Christ,
Andrew Thetford
any questions or anything just email at

Thursday, January 21, 2010

Father Heart of God(First week of lectures)

This past week we had a speaker named Ray McConnell who is from Florida but now lives as a missionary in Thailand. He spoke the whole week on the "Father Heart of God". When i hear this i wasn't to sure what all there is to know about the Father Heart of God. When we started getting into the lectures we began to understand just how much God truly loves us and cares for us like a father. The first verse we looked at to delve into this subject was Ephesians 1:4 "Long before he laid down the earths foundations, he had us in mind, had settled on us as the focus of his love, to be made whole and holy."
The whole week our group began to get a better grasp on Gods father heart and throughout the week words and visions came to many people. God has started speaking to some of us in crazy ways. The biggest thing for me this week was when i heard God speak to me. I was praying so hard and getting frustrated cause people were saying things about how God told them this and told them that, and I'm sitting there frustrated cause I'm not getting anything. Finally Ray gave us all versus to go for about thirty minutes and just pray about. When i got my verse i went to a corner and prayed over it. The verse i was given was Zephaniah 3:17 "The lord your God is with you, he is mighty to save. He will take great delight in you, he will quiet you with his love, he will rejoice over you with singing." As soon as i read this i started praying and God began to speak to me. He began telling me how I'm trying so hard to worship and praise him and speak to him but I'm not letting him worship, praise, and speak to me. Sometimes we get so frustrated because we are trying so hard to experience God and we don't let him experience us. Sometimes its hard to believe that the King of the world can hear our voice much less that he wants to sing and dance over us in all of our sin and mess.
Another thing we were challenged to do this week was write down anything and everything that is our first love above our love for Christ. When he first said this i didn't think there was really anything above him in my life but when I started to pray a whole page of things came up and it convicted me so much, so afterward me and some guys prayed over all of our stuff and decided to put all of those things aside until God was our first love.
Outside of lectures my small group of 5 guys have begun going through the book "Wild at Heart", this book is exactly what i need in my life right now. It is really speaking to our whole group and is showing me so much.
God is moving here and our outreach team is finally starting to get our trip together, i ask that if possible i can receive some prayer for our outreach team, pray for our teamwork, visions, courage, strength, and planning skills for our upcoming trip to India/Nepal.
Thank you all so much for prayers and support. I swear there are times i can feel prayers over me from halfway around the world.
With Christs Love
Andrew Thetford

p.s.- if there are any questions or anything your curious about that's going on with me here feel free to email me anything at

Saturday, January 16, 2010

Outreach Location

This week we were split up into 5 groups with a male and female leader to each group and given our outreach location for late march. Every student was given a sheet of paper and told to write down the top three choices of the outreach locations. The options were: india/nepal, india/bangladesh. china. bali/Philippines, and thailand/cambodia. I really had no idea which to write down but once they described each location The india trips seemed to be very out of my comfort zone. They spoke of how crowded, dirty, and smelly these trips would be. These seemed very intense and honestly i dont have a huge desire to go to india but i felt God tugging at my heart to go to India. So i ended up writing the India trips as my top two and china as my third. The next day we found out our locations and i was put in the India/Nepal trip. I was so excited/nervous. In our group we have two Norwegians, aSouthern Califonian, a Korean, a Minnesotian, and two leaders one from france and one from florida. I really feel God is going to reveal so much to us as we prepare and go on this trip.
I would really love some prayer and intercession from back home. Currently we are praying and asking God exactly what he wants us to do while we are there. We are taking these next 10 weeks and planning this trip and hoping it changes as many lives as possible.
This coming week we will be having lectures that cover the father heart of God. I pray that all of us come to find direction from God and wisdom this week. Once again myself as well as all of the students here would love some intercession and prayer from back home.
With love from Australia,
Andrew Thetford

Thursday, January 14, 2010

First post from down under!

Sorry about the long wait for my first post from down under but wi-fi has been though to get ahold of.
Anyway.... I'm here now and have been for a few days. Im already making some of the best friends i have ever had. There are people here in my DTS from all over including: Norway, Sweden, Finland, England, Whales, Australia, all over america, korea, france, switzerland, and other nations. Im already being so blessed by their culture and friendship. We are all getting really close and i have honestly smiled and laughed more in the past 5 days then i have in a long time. We are from all over and we are all seeking one thing and thats the spirit of God. Already we have all giving our testimonies and where we are in our walk with the lord and when we did it was one of the most emotional times in my life and we all grew together so much. Its amazing to have all these people and all of us start anew together.
The city i am in is called Maroochydoore and its 45 min north of the big city of Brisbane. Its right on the beach and its very laid back and people are very friendly. Our daily routine is to wake up around 7 then lectures start at 8. Lectures are amazing and there are some amazing speakers lined up. Lectures usually end around noon and then we have the rest of the day to be free and do quite time, our daily chores around the base and house, or go to the beach or wakeboard park or anything else we desire. We all have been given a one on one leader to go to when we just want to chat and mine is a guy named Jay who is a real salt of the earth guy and our friendship is already getting really strong. Every week we have one night of worship and one of community outreach. Today we were given options on our outreach location that we go to in late march and tomorrow we find out which one we are on. God is really moving in our group and in my life. One thing our base is really seeking is the voice of God nd our leaders are really urging us to have as much quite time with God as possible.
I have already started to "go on dates with God" when i get a chance. What i mean by this is ever since i can remember i have spent s much time thinking and stressing and messing with girls and going on dates with them. but i feel God is telling me to take a break from girls completely now and instead i have been chatting with him instead of calling girls and going on dates with him instead of with girls.
I keeping hearing some news back home that breaks my heart like what happened in haiti and lso what happened with lane kiffin in knoxville..... Anyway i miss everyone back home but no wories because im having the time of my life here....
in christ
Andrew thetford

Thursday, January 7, 2010


So....... here we go. Today I'm off to the land down under. It's finally here and to be honest it still hasnt set in. Im wondering if i really need to even be scared or nervous because in a reality i have a very good lifelong friend going with me, you might call him the holy ghost or the spirit of God. im praying for his comfort as i go where he has called me to go. So many people are asking me why YWAM? why australia? why why why??? And my honest answer to those questions is i have no clue except that God wants me to go. I have never felt so sure about anything in my life, this is what im supposed to do! And I wish i had just a glimpse of what all God is going to do while im gone but its like christmas and hes the parent keeping all the gifts hidden until the greatest possible time to open them.
Right now in the Nashville airport it is snowing pretty hard and when i land there will be sun, beaches, and lots of heat. God is putting me in a place that is 100 percent out of my element for a purpose there is a purpose behind all of what is happening and going to occur.
These next 5 1/2 months will be the time of my life and im going to soak of every second of it. Thank you to all who are praying for me and supporting me, i truly am blessed

Bing... Now Boarding... here we go.... see ya in june

Below is a relaxed structure of Sm4Al2O9, with properties calculated at the PBE level.

## Properties
energy	-484.28	eV for the cell shown
DFT formation energy	-86.64	kcal/mol of atoms

Cell lengths 7.6687, 10.8115, 11.3634 Å; angles 90.00, 109.01, 90.00 degrees
Space group P2_1/c (No. 14)
Asymmetric unit:
Sm  0.0236  0.1038  0.2870 [4 per cell]
Sm  0.1643  0.6245  0.5686 [4 per cell]
Sm  0.3362  0.1222  0.9139 [4 per cell]
Sm  0.4751  0.5895  0.1912 [4 per cell]
Al  0.1523  0.1852  0.6166 [4 per cell]
Al  0.2789  0.6873  0.8713 [4 per cell]
O  0.0668  0.0080  0.8953 [4 per cell]
O  0.0667  0.7407  0.8844 [4 per cell]
O  0.1387  0.2296  0.4645 [4 per cell]
O  0.1990  0.0302  0.6674 [4 per cell]
O  0.2680  0.7288  0.2342 [4 per cell]
O  0.2834  0.5293  0.8367 [4 per cell]
O  0.2850  0.2278  0.2469 [4 per cell]
O  0.4230  0.0050  0.1068 [4 per cell]
O  0.4244  0.7341  0.0184 [4 per cell]
**Back to the entry**

In his name,
Andrew Thetford